## To do
Echo every line further below that contains the word "ion".
## File
=====
{"formula": "C26H20BFI3N10OTl", "method": "ωB97M-V with the def2-TZVPD basis set", "symbols": ["Tl", "C", "C", "N", "N", "C", "B", "N", "C", "C", "C", "N", "N", "C", "C", "C", "N", "N", "C", "C", "C", "N", "H", "H", "H", "H", "H", "H", "H", "H", "H", "H", "H", "H", "I", "C", "C", "C", "I", "C", "C", "C", "C", "N", "C", "C", "O", "H", "H", "H", "H", "I", "C", "C", "C", "C", "N", "C", "H", "H", "H", "H", "F"], "coordinates": [[0.127, -0.709, -0.735], [-1.683, -3.713, 1.786], [-1.141, -3.297, 0.578], [-0.444, -2.183, 0.767], [-0.511, -1.864, 2.073], [-1.270, -2.771, 2.705], [0.213, -0.615, 2.590], [-0.487, 0.646, 2.026], [-1.268, 1.513, 2.684], [-1.643, 2.509, 1.808], [-1.044, 2.162, 0.605], [-0.352, 1.035, 0.752], [1.668, -0.643, 2.065], [2.796, -0.652, 2.792], [3.870, -0.772, 1.938], [3.300, -0.843, 0.673], [1.978, -0.752, 0.764], [0.229, -0.502, 4.098], [0.760, 0.533, 4.798], [0.581, 0.282, 6.137], [-0.082, -0.954, 6.172], [-0.274, -1.394, 4.951], [-2.291, -4.574, 1.962], [-1.238, -3.729, -0.399], [-1.464, -2.695, 3.756], [-1.517, 1.391, 3.716], [-2.254, 3.360, 2.009], [-1.089, 2.685, -0.329], [2.783, -0.575, 3.858], [4.909, -0.804, 2.187], [3.793, -0.971, -0.269], [1.218, 1.365, 4.301], [0.878, 0.887, 6.967], [-0.415, -1.517, 7.019], [-5.309, -0.906, -0.288], [-4.217, 0.302, -1.585], [-4.839, 1.157, -2.471], [-4.095, 1.980, -3.293], [-5.127, 3.308, -4.555], [-2.675, 1.955, -3.261], [-1.852, 2.778, -4.050], [-0.488, 2.721, -3.900], [0.051, 1.818, -2.983], [-0.697, 1.017, -2.255], [-2.031, 1.072, -2.359], [-2.798, 0.220, -1.451], [-2.261, -0.492, -0.587], [-5.917, 1.193, -2.519], [-2.297, 3.461, -4.758], [0.168, 3.359, -4.470], [1.119, 1.750, -2.837], [5.503, 1.697, -2.859], [3.986, 0.257, -3.123], [4.021, -0.653, -4.172], [2.993, -1.576, -4.269], [1.975, -1.558, -3.327], [1.943, -0.672, -2.337], [2.925, 0.218, -2.234], [4.824, -0.634, -4.894], [2.981, -2.305, -5.065], [1.159, -2.263, -3.373], [2.868, 0.915, -1.410], [-0.552, -1.956, -2.119]], "spin_multiplicity": 2, "lumo_ev": [-3.5, -5.4], "orbital_gap_ev": [7.71, 5.95], "s_squared": 0.7874, "charge": 1, "e_homo_ev": [-11.179, -11.387]}

{"formula": "C2H4INO", "method": "ωB97M-V with the def2-TZVPD basis set", "symbols": ["C", "C", "N", "O", "I", "H", "H", "H", "H"], "coordinates": [[0.764, -0.703, -0.144], [0.811, 0.515, 0.253], [-0.010, -1.557, -0.765], [1.852, 1.129, 0.879], [-3.377, 0.794, -0.256], [-0.201, 1.026, -0.239], [-1.892, -0.192, -0.177], [-0.639, -1.907, -0.041], [2.692, 0.895, 0.490]], "spin_multiplicity": 3, "lumo_ev": [0.2, -2.7], "e_above_lowest_ev": 1.6124, "orbital_gap_ev": [7.18, 7.34], "s_squared": 2.0106, "e_homo_ev": [-7.012, -9.991]}

{"formula": "C6H13FNO", "method": "ωB97M-V with the def2-TZVPD basis set", "symbols": ["C", "C", "F", "C", "C", "N", "C", "C", "O", "H", "H", "H", "H", "H", "H", "H", "H", "H", "H", "H", "H", "H"], "coordinates": [[2.778, 0.751, -0.205], [2.185, -0.771, -0.327], [3.176, -1.674, 0.370], [0.744, -1.022, 0.410], [-0.236, 0.290, 0.496], [-1.624, -0.129, 1.020], [-2.524, -0.370, -0.178], [-2.059, 0.971, -1.054], [-0.599, 1.030, -0.722], [2.340, 1.391, 0.671], [3.957, 0.675, -0.041], [2.651, 1.254, -1.274], [2.161, -1.108, -1.452], [0.960, -1.491, 1.482], [0.178, -1.854, -0.208], [0.122, 1.013, 1.348], [-1.667, -0.766, 1.845], [-1.977, 0.812, 1.368], [-2.303, -1.280, -0.890], [-3.615, -0.393, 0.250], [-2.532, 1.988, -0.713], [-2.115, 0.681, -2.198]], "spin_multiplicity": 1, "lumo_ev": -3.7, "e_above_lowest_ev": 3.6715, "orbital_gap_ev": 11.17, "charge": 1, "e_homo_ev": -14.833}


[1]
Entry from OMol25: the ion C3H4N3 with charge +1 at a distorted geometry (ωB97M-V/def2-TZVPD).

Bonds (Å) are listed after each position.
Positions of all 10 atoms, in Å:
1 H -2.58 -0.33 0.01  N7 0.990
2 N 0.63 -0.76 -0.06  C6 1.247, C8 1.307
3 H 3.57 0.97 0.14  N9 0.994
4 H -0.77 -2.13 0.28  C8 1.083
5 C -1.14 1.10 -0.08  N7 1.318, H10 1.079
6 C 1.65 -0.04 -0.10  N2 1.247, N9 1.192
7 N -1.62 -0.13 -0.12  H1 0.990, C5 1.318, C8 1.378
=====
## Response
Entry from OMol25: the ion C3H4N3 with charge +1 at a distorted geometry (ωB97M-V/def2-TZVPD).